-- begin --
Material: RbBaAg2Hg
Method: DFT, PBE
State: optimized geometry

Cell and atoms, written as POSCAR:
```
RbBaAg2Hg
1.0
5.579 0.000 0.000
0.000 6.015 0.000
0.000 0.000 5.579
Ag Hg Ba Rb
2 1 1 1
direct
0.000 0.000 0.500 Ag
0.500 0.000 0.000 Ag
0.000 0.000 0.000 Hg
0.500 0.500 0.500 Ba
0.000 0.500 0.000 Rb
```

Calculated volume ... 37.4 Å³/atom
ΔH_f (0 K) ... 0.86 eV/f.u.
VASP energy ... -0.1181 Ry/atom
Calculated density ... 5.7 g cm⁻³

Material: BaCeH3
Method: DFT, PBE
State: optimized geometry

Cell and atoms, written as POSCAR:
```
BaCeH3
1.0
4.559 0.000 0.000
0.000 4.559 0.000
0.000 0.000 4.559
H Ce Ba
3 1 1
direct
0.000 0.000 0.500 H
0.500 0.000 0.000 H
0.000 0.500 0.000 H
0.000 0.000 0.000 Ce
0.500 0.500 0.500 Ba
```

Calculated volume ... 18.9 Å³/atom
VASP energy ... -0.2830 Ry/atom
Calculated density ... 4.9 g cm⁻³

=====

Record 1
{
  "formula": "HfAsPd",
  "functional": "GGA-PBE",
  "state": "relaxed",
  "total_magnetization_mub_per_cell": 0.00,
  "energy_ev_per_atom": -7.347,
  "vol_a3_per_cell": 109.7,
  "space_group": "P-1",
  "cell": [[3.9178, 0.0000, 0.0000], [0.6657, 5.3958, 0.0000], [1.6927, 1.6816, 5.1915]],
  "species": ["Hf", "Hf", "As", "As", "Pd", "Pd"],
  "frac_coords": [[0.1311, 0.1631, 0.1815], [0.8689, 0.8369, 0.8185], [0.2200, 0.6500, 0.1890], [0.7800, 0.3500, 0.8110], [0.4155, 0.2213, 0.5678], [0.5845, 0.7787, 0.4322]]
}

---

Record 2
{
  "formula": "LiCrAs",
  "functional": "GGA-PBE",
  "state": "relaxed",
  "total_magnetization_mub_per_cell": 1.19,
  "energy_ev_per_atom": -5.492,
  "vol_a3_per_cell": 74.5,
  "space_group": "P6_3/mmc",
  "cell": [[4.1641, 0.0000, 0.0000], [-2.0820, 3.6062, 0.0000], [0.0000, 0.0000, 4.9628]],
  "species": ["Li", "Li", "Cr", "Cr", "As", "As"],
  "frac_coords": [[0.3333, 0.6667, 0.2500], [0.6667, 0.3333, 0.7500], [0.0000, 0.0000, 0.0000], [0.0000, 0.0000, 0.5000], [0.3333, 0.6667, 0.7500], [0.6667, 0.3333, 0.2500]]
}

---

Record 3
{
  "formula": "Fe2Co",
  "functional": "GGA-PBE",
  "state": "relaxed",
  "total_magnetization_mub_per_cell": 20.23,
  "energy_ev_per_atom": -7.803,
  "vol_a3_per_cell": 136.8,
  "space_group": "P6_3/mmc",
  "cell": [[4.6066, 0.0000, 0.0000], [-2.3033, 3.9894, 0.0000], [0.0000, 0.0000, 7.4428]],
  "species": ["Fe", "Fe", "Fe", "Fe", "Fe", "Fe", "Fe", "Fe", "Co", "Co", "Co", "Co"],
  "frac_coords": [[0.0000, 0.0000, 0.0000], [0.0000, 0.0000, 0.5000], [0.1713, 0.3426, 0.2500], [0.1713, 0.8287, 0.2500], [0.3426, 0.1713, 0.7500], [0.6574, 0.8287, 0.2500], [0.8287, 0.1713, 0.7500], [0.8287, 0.6574, 0.7500], [0.3333, 0.6667, 0.5617], [0.3333, 0.6667, 0.9383], [0.6667, 0.3333, 0.0617], [0.6667, 0.3333, 0.4383]]
}

---

Record 4
{
  "formula": "NaNiI2",
  "functional": "GGA-PBE",
  "state": "relaxed",
  "total_magnetization_mub_per_cell": 1.00,
  "raw_formation_energy_mev_per_atom": 19,
  "relative_energy_mev_per_atom": 475,
  "vol_a3_per_cell": 108.6,
  "space_group": "Fm-3m",
  "cell": [[0.0000, 3.7864, 3.7864], [3.7864, 0.0000, 3.7864], [3.7864, 3.7864, 0.0000]],
  "species": ["Na", "Ni", "I", "I"],
  "frac_coords": [[0.0000, 0.0000, 0.0000], [0.5000, 0.5000, 0.5000], [0.2500, 0.2500, 0.2500], [0.7500, 0.7500, 0.7500]]
}

---

Record 5
{
  "formula": "AlOs2Au",
  "functional": "GGA-PBE",
  "state": "relaxed",
  "total_magnetization_mub_per_cell": 0.00,
  "energy_ev_per_atom": -6.992,
  "vol_a3_per_cell": 60.4,
  "space_group": "I4/mmm",
  "cell": [[-1.9629, 1.9629, 3.9217], [1.9629, -1.9629, 3.9217], [1.9629, 1.9629, -3.9217]],
  "species": ["Al", "Os", "Os", "Au"],
  "frac_coords": [[0.0000, 0.0000, 0.0000], [0.2500, 0.7500, 0.5000], [0.7500, 0.2500, 0.5000], [0.5000, 0.5000, 0.0000]]
}

---

Record 6
{
  "formula": "NpScSb3",
  "functional": "GGA-PBE",
  "state": "relaxed",
  "total_magnetization_mub_per_cell": 16.67,
  "raw_formation_energy_mev_per_atom": -424,
  "vol_a3_per_cell": 521.3,
  "space_group": "Pbcm",
  "cell": [[13.2052, 0.0000, 0.0000], [0.0000, 6.1019, 0.0000], [0.0000, 0.0000, 6.4694]],
-- stop --
Could you print the entries above without altering anything?
Material: RbBaAg2Hg
Method: DFT, PBE
State: optimized geometry

Cell and atoms, written as POSCAR:
```
RbBaAg2Hg
1.0
5.579 0.000 0.000
0.000 6.015 0.000
0.000 0.000 5.579
Ag Hg Ba Rb
2 1 1 1
direct
0.000 0.000 0.500 Ag
0.500 0.000 0.000 Ag
0.000 0.000 0.000 Hg
0.500 0.500 0.500 Ba
0.000 0.500 0.000 Rb
```

Calculated volume ... 37.4 Å³/atom
ΔH_f (0 K) ... 0.86 eV/f.u.
VASP energy ... -0.1181 Ry/atom
Calculated density ... 5.7 g cm⁻³

Material: BaCeH3
Method: DFT, PBE
State: optimized geometry

Cell and atoms, written as POSCAR:
```
BaCeH3
1.0
4.559 0.000 0.000
0.000 4.559 0.000
0.000 0.000 4.559
H Ce Ba
3 1 1
direct
0.000 0.000 0.500 H
0.500 0.000 0.000 H
0.000 0.500 0.000 H
0.000 0.000 0.000 Ce
0.500 0.500 0.500 Ba
```

Calculated volume ... 18.9 Å³/atom
VASP energy ... -0.2830 Ry/atom
Calculated density ... 4.9 g cm⁻³

=====

Record 1
{
  "formula": "HfAsPd",
  "functional": "GGA-PBE",
  "state": "relaxed",
  "total_magnetization_mub_per_cell": 0.00,
  "energy_ev_per_atom": -7.347,
  "vol_a3_per_cell": 109.7,
  "space_group": "P-1",
  "cell": [[3.9178, 0.0000, 0.0000], [0.6657, 5.3958, 0.0000], [1.6927, 1.6816, 5.1915]],
  "species": ["Hf", "Hf", "As", "As", "Pd", "Pd"],
  "frac_coords": [[0.1311, 0.1631, 0.1815], [0.8689, 0.8369, 0.8185], [0.2200, 0.6500, 0.1890], [0.7800, 0.3500, 0.8110], [0.4155, 0.2213, 0.5678], [0.5845, 0.7787, 0.4322]]
}

---

Record 2
{
  "formula": "LiCrAs",
  "functional": "GGA-PBE",
  "state": "relaxed",
  "total_magnetization_mub_per_cell": 1.19,
  "energy_ev_per_atom": -5.492,
  "vol_a3_per_cell": 74.5,
  "space_group": "P6_3/mmc",
  "cell": [[4.1641, 0.0000, 0.0000], [-2.0820, 3.6062, 0.0000], [0.0000, 0.0000, 4.9628]],
  "species": ["Li", "Li", "Cr", "Cr", "As", "As"],
  "frac_coords": [[0.3333, 0.6667, 0.2500], [0.6667, 0.3333, 0.7500], [0.0000, 0.0000, 0.0000], [0.0000, 0.0000, 0.5000], [0.3333, 0.6667, 0.7500], [0.6667, 0.3333, 0.2500]]
}

---

Record 3
{
  "formula": "Fe2Co",
  "functional": "GGA-PBE",
  "state": "relaxed",
  "total_magnetization_mub_per_cell": 20.23,
  "energy_ev_per_atom": -7.803,
  "vol_a3_per_cell": 136.8,
  "space_group": "P6_3/mmc",
  "cell": [[4.6066, 0.0000, 0.0000], [-2.3033, 3.9894, 0.0000], [0.0000, 0.0000, 7.4428]],
  "species": ["Fe", "Fe", "Fe", "Fe", "Fe", "Fe", "Fe", "Fe", "Co", "Co", "Co", "Co"],
  "frac_coords": [[0.0000, 0.0000, 0.0000], [0.0000, 0.0000, 0.5000], [0.1713, 0.3426, 0.2500], [0.1713, 0.8287, 0.2500], [0.3426, 0.1713, 0.7500], [0.6574, 0.8287, 0.2500], [0.8287, 0.1713, 0.7500], [0.8287, 0.6574, 0.7500], [0.3333, 0.6667, 0.5617], [0.3333, 0.6667, 0.9383], [0.6667, 0.3333, 0.0617], [0.6667, 0.3333, 0.4383]]
}

---

Record 4
{
  "formula": "NaNiI2",
  "functional": "GGA-PBE",
  "state": "relaxed",
  "total_magnetization_mub_per_cell": 1.00,
  "raw_formation_energy_mev_per_atom": 19,
  "relative_energy_mev_per_atom": 475,
  "vol_a3_per_cell": 108.6,
  "space_group": "Fm-3m",
  "cell": [[0.0000, 3.7864, 3.7864], [3.7864, 0.0000, 3.7864], [3.7864, 3.7864, 0.0000]],
  "species": ["Na", "Ni", "I", "I"],
  "frac_coords": [[0.0000, 0.0000, 0.0000], [0.5000, 0.5000, 0.5000], [0.2500, 0.2500, 0.2500], [0.7500, 0.7500, 0.7500]]
}

---

Record 5
{
  "formula": "AlOs2Au",
  "functional": "GGA-PBE",
  "state": "relaxed",
  "total_magnetization_mub_per_cell": 0.00,
  "energy_ev_per_atom": -6.992,
  "vol_a3_per_cell": 60.4,
  "space_group": "I4/mmm",
  "cell": [[-1.9629, 1.9629, 3.9217], [1.9629, -1.9629, 3.9217], [1.9629, 1.9629, -3.9217]],
  "species": ["Al", "Os", "Os", "Au"],
  "frac_coords": [[0.0000, 0.0000, 0.0000], [0.2500, 0.7500, 0.5000], [0.7500, 0.2500, 0.5000], [0.5000, 0.5000, 0.0000]]
}

---

Record 6
{
  "formula": "NpScSb3",
  "functional": "GGA-PBE",
  "state": "relaxed",
  "total_magnetization_mub_per_cell": 16.67,
  "raw_formation_energy_mev_per_atom": -424,
  "vol_a3_per_cell": 521.3,
  "space_group": "Pbcm",
  "cell": [[13.2052, 0.0000, 0.0000], [0.0000, 6.1019, 0.0000], [0.0000, 0.0000, 6.4694]],